Jarad was still recovering from his encounter with Intelligenuity’s most “brillant” programmer, Keisha, when a new hire, Aaron, showed up at Jarad’s office.

The large project that dominated their timelines remained their efforts to migrate from .NET to Java, but Aaron was hired to keep the .NET side of things on track, handling bugs, new features that were desperately needed, and just general maintenance. It was made emphatically clear by the project managers that hiring more .NET developers was not an admission that the conversion to Java had failed, but would “free up resources” to better focus on the Java side of things.

Aaron moved fast to establish himself. He scheduled a presentation in the first week. He was vague about what, exactly, the presentation was about ahead of time. So, when the lights came down and the projector lit up, everyone was a bit surprised to see their .NET code in his slides.

“This,” he explained, “is our application code. I wanted to give you a walk through the code, so we all as a team have a better understanding.”

Jarad and his co-workers exchanged glances, silently wondering if this was for real. Was Aaron really about to explain the code they had written to them?

-- begin --
ORCA calculation (wB97M-V/def2-TZVPD) on a 18-piece molecular cluster, C68H186N14O20 overall in a non-equilibrium geometry.

- E_HOMO (alpha / beta) (eV) = 0.75 / -6.55
- LUMO energy (alpha / beta) (eV) = 1.78 / 1.93
- 2S+1 = 2
- total charge = -1
- gap between HOMO and LUMO (alpha / beta) (eV) = 1.0 / 8.5
- ⟨S²⟩ = 0.75

Bonds (Å) are listed after each position.
Geometry (Å):
1 C -6.96 3.26 1.87  C2 1.488, H7 1.090, H8 1.090, H9 1.090
2 C -5.63 3.54 1.26  C1 1.488, C3 1.518, N6 1.430, H10 1.090
3 C -4.84 2.26 1.06  C2 1.518, O4 1.393, H11 1.090, H12 1.090
4 O -4.65 1.59 2.26  C3 1.393, C5 1.445
5 C -4.16 0.24 2.08  O4 1.445, H13 1.090, H14 1.090, H15 1.090
6 N -5.81 4.33 0.09  C2 1.430, H16 1.010, H17 1.010
7 H -7.60 4.15 1.85  C1 1.090
8 H -6.90 3.08 2.94  C1 1.090
9 H -7.57 2.45 1.48  C1 1.090
10 H -5.16 4.20 2.00  C2 1.090
11 H -3.87 2.49 0.61  C3 1.090
12 H -5.40 1.66 0.34  C3 1.090
13 H -4.52 -0.36 2.91  C5 1.090
14 H -3.08 0.25 2.14  C5 1.090
15 H -4.43 -0.25 1.14  C5 1.090
16 H -4.96 4.40 -0.45  N6 1.010
17 H -6.44 3.88 -0.56  N6 1.010
18 C 2.24 -0.49 5.79  C19 1.531, H24 1.090, H25 1.090, H26 1.090
19 C 0.72 -0.55 5.92  C18 1.531, C20 1.584, N23 1.448, H27 1.090
20 C 0.20 0.52 6.97  C19 1.584, O21 1.442, H28 1.090, H29 1.090
21 O 0.76 0.26 8.28  C20 1.442, C22 1.475
22 C 0.14 -0.80 9.09  O21 1.475, H30 1.090, H31 1.090, H32 1.090
23 N 0.20 -0.21 4.61  C19 1.448, H33 1.010, H34 1.010
24 H 2.69 0.38 5.31  C18 1.090
25 H 2.63 -1.34 5.22  C18 1.090
26 H 2.57 -0.57 6.83  C18 1.090
27 H 0.35 -1.54 6.17  C19 1.090
28 H -0.88 0.49 7.04  C20 1.090
29 H 0.54 1.51 6.65  C20 1.090
30 H -0.10 -1.70 8.52  C22 1.090
31 H -0.87 -0.51 9.39  C22 1.090
32 H 0.64 -1.03 10.03  C22 1.090
33 H 0.49 0.71 4.32  N23 1.010
34 H -0.80 -0.10 4.70  N23 1.010
35 C -1.53 2.41 3.11  C36 1.505, H41 1.090, H42 1.090, H43 1.090
36 C -0.60 3.48 3.62  C35 1.505, C37 1.526, N40 1.477, H44 1.090
37 C -1.14 4.27 4.80  C36 1.526, O38 1.388, H45 1.090, H46 1.090
38 O -2.19 5.06 4.34  C37 1.388, C39 1.415
39 C -2.93 5.76 5.32  O38 1.415, H47 1.090, H48 1.090, H49 1.090
40 N 0.72 2.92 3.97  C36 1.477, H50 1.010, H51 1.010
41 H -2.43 2.87 2.70  C35 1.090
42 H -1.82 1.67 3.85  C35 1.090
43 H -1.10 1.84 2.29  C35 1.090
44 H -0.41 4.21 2.84  C36 1.090
45 H -0.38 4.95 5.19  C37 1.090
46 H -1.39 3.58 5.61  C37 1.090
47 H -3.22 5.13 6.15  C39 1.090
48 H -3.85 6.19 4.92  C39 1.090
49 H -2.35 6.63 5.64  C39 1.090
50 H 1.39 3.68 4.04  N40 1.010
51 H 1.05 2.47 3.13  N40 1.010
52 C 0.64 -0.09 -3.39  C53 1.470, H58 1.090, H59 1.090, H60 1.090
53 C 1.89 -0.82 -3.13  C52 1.470, C54 1.525, N57 1.453, H61 1.090
54 C 3.10 0.09 -2.95  C53 1.525, O55 1.434, H62 1.090, H63 1.090
55 O 3.33 0.91 -4.10  C54 1.434, C56 1.400
56 C 4.49 1.67 -3.97  O55 1.400, H64 1.090, H65 1.090, H66 1.090
57 N 1.57 -1.61 -1.95  C53 1.453, H67 1.010, H68 1.010
58 H 0.77 0.67 -4.17  C52 1.090
59 H 0.28 0.51 -2.55  C52 1.090
60 H -0.13 -0.77 -3.74  C52 1.090
61 H 2.00 -1.47 -4.00  C53 1.090
62 H 4.01 -0.50 -2.78  C54 1.090
-- stop --

“This line here,” Aaron said, pointing to a for loop, “is an interesting construct. It will repeat the code which follows to be repeated once for each element in the array.” A few slides later, highlighting a line which read, x = new AccountModel(), Aaron explained. “This creates an instance of an account model object. The instance is of the class, while the class defines what is common across all objects.”

That hour long meeting was one of the longest hours of Jarad’s life. It was a perfect storm of tedium, insult, and incompetence.

Afterwards, Jarad grabbed his manager, Regine. “Like, do you think Aaron is going to actually be a good fit?”

“Oh, I’m sure he’ll be fine. Look how well he understands our code already!”

That laid out the pattern of working with Aaron. During one team meeting, the team got sidetracked discussing the best approach to managing a very specific exception in a very specific section of their code. Fifteen minutes after the meeting, Aaron followed up with an email: “Re: Exception Handling”, which consisted of a bad paraphrase of the Execption class documentation from the MSDN site. Another day, during another meeting, someone mentioned concurrency, so Aaron followed up with an email that broadly plagiarized a Stack Overflow post describing the ProcessThread object.

And, on each one of those emails, Regine and several other project managers were CCed. The result was that the management team felt that Aaron was a great communicator, who constantly was adding value to the team. He was a mentor. An asset. The kind of person that should be invited to every one of the project management meetings, because he was extremely technical but also the kind of communicator and go-getter that had management written all over him.

Among the developers, Aaron’s commits were a running joke. He submitted non-working code, code that violated every standard practice and styleguide entry they used, code with out tests, code with tests that would pass no matter what happened, code that didn’t compile, and code that was clearly copy/pasted from a tutorial without bothering to try and fix the indentation.

It was no surprise then, that a few months later, Aaron announced that he was now a “System Architect”, a role that did not actually exist in their org-chart, but Aaron assured them meant he could tell them how to write software. Jarad went to Regine, along with a few other developers, and raised their concerns. Specifically: Aaron had invented a new job role and was claiming authority he didn’t have, he didn’t have the seniority for a promotion at this time, he didn’t actually know what he was doing, and he was killing team morale.

“Are you familiar with the crab mentality?” Regine asked. “I’m concerned that you’re being poor team players and a negative influence. You should be happy for Aaron’s success, because it reflects on how good our team is!”

• What comes next are quantum chemistry results, not part of the article:
Model one:
An isolated molecule of C2H3N3OS, computed with the ωB97M-V functional and the def2-TZVPD basis.

Geometry as XYZ:
```
10
Properties=species:S:1:pos:R:3:mulliken_charge:R:1
C 1.078 -0.030 0.527 -0.408
C -0.614 0.203 0.076 0.449
N -0.801 0.244 -1.189 -0.356
N 0.289 0.105 -1.964 -0.220
N -1.540 0.500 0.996 -0.423
O 2.849 -0.250 -1.455 -0.520
S 1.499 -0.489 -1.074 0.658
H 1.145 -0.752 1.354 0.280
H -1.379 0.137 1.891 0.255
H -2.525 0.332 0.838 0.285
```

For the HOMO energy, the calculation gives -9.04 eV. The net charge is 0. The LUMO energy is -1.52 eV.

=====

Model two:
A structure of composition C2H3N3OS, computed with the ωB97M-V functional and the def2-TZVPD basis.

Geometry as XYZ:
```
10
Properties=species:S:1:pos:R:3:mulliken_charge:R:1
C -0.620 -0.556 -0.182 0.509
C 0.409 0.419 0.026 0.389
H -2.251 -1.433 0.498 0.355
H 0.228 -0.001 -2.935 0.275
H 1.547 1.834 1.176 0.156
N -0.796 -0.953 -1.377 -0.681
N 0.181 -0.265 -1.958 0.365
N 0.879 0.553 -1.234 -0.604
O -1.468 -0.879 0.850 -0.535
S 0.727 0.757 1.711 -0.230
```

For the HOMO energy, the calculation gives -8.61 eV. The net charge is 0. The LUMO energy is 0.73 eV.

=====

We find model two to be the most stable, with the next structure 2.948 eV higher.

=====

Model one:
A cluster of 3 separate species, C4H12O3 in total, computed with the ωB97M-V functional and the def2-TZVPD basis.

Geometry as XYZ:
```
19
Properties=species:S:1:pos:R:3:mulliken_charge:R:1
C 0.246 -1.181 -1.116 -1.386
C -0.399 -0.970 0.263 1.030
C -0.668 -2.282 1.019 -1.660
C -1.577 -0.096 0.211 -0.098
O -1.727 0.927 -0.421 -0.544
H -0.369 -1.819 -1.745 0.426
H 1.178 -1.689 -0.852 0.356
H 0.477 -0.234 -1.614 0.326
H 0.358 -0.422 0.830 0.052
H 0.278 -2.831 0.945 0.406
H -1.484 -2.912 0.641 0.367
H -0.852 -2.087 2.072 0.410
H -2.432 -0.476 0.818 0.331
O 2.565 0.514 0.471 -0.598
H 3.156 1.079 0.977 0.305
H 1.866 1.135 0.214 0.321
O 0.648 2.586 -0.449 -0.662
H 0.471 3.213 -1.149 0.302
H -0.216 2.317 -0.091 0.317
```

For the HOMO energy, the calculation gives -9.95 eV. The net charge is 0. The LUMO energy is 0.76 eV.

=====

Model two:
A cluster of 3 separate species, C4H12O3 in total, computed with the ωB97M-V functional and the def2-TZVPD basis.

Geometry as XYZ:
```
19
Properties=species:S:1:pos:R:3:mulliken_charge:R:1
C 1.046 0.452 0.942 -1.266
C 1.146 -0.007 -0.505 -0.259
C -0.008 -0.603 -1.283 -0.229
C -1.259 0.316 -0.959 -0.038
O -1.828 0.892 -1.853 -0.476
H 2.062 0.538 1.389 0.258
H 0.463 -0.069 1.656 0.397
H 0.606 1.457 0.892 0.391
H 1.876 -0.830 -0.477 0.302
H 1.357 0.835 -1.148 0.247
H -0.474 -1.536 -0.833 0.061
H 0.178 -0.673 -2.410 0.276
H -1.665 0.253 0.075 0.332
O -2.559 -4.240 1.266 -0.652
H -3.469 -3.865 1.272 0.324
H -2.063 -3.625 0.711 0.326
O 2.998 3.410 1.445 -0.633
H 3.903 3.564 1.277 0.306
H 2.779 2.503 1.564 0.332
```

For the HOMO energy, the calculation gives -9.62 eV. The net charge is 0. The LUMO energy is 0.44 eV.

=====

Model three:

Jarad and the rest of the team soon discovered that Regine was right. Now that Aaron was a “System Architect” he was too busy building presentations, emailing barely comprehensible and often inaccurate summaries of documentation, and scheduling meetings to actually write any code. Team performance improved, and it was trivial to configure one’s inbox to spam Aaron’s messages.

Aaron’s “communication style” kept getting him scheduled to do more presentations where he could explain simple programming concepts to different layers of management. The general consensus was that they didn’t understand what he was talking about, but he must be very smart to talk about it with a PowerPoint deck.

After their next release of their .NET product, Aaron scheduled a meeting with some of the upper tier management to review the project. He once again dazzled them with his explanation of the difference between an object and a class, with a brief foray into the difference between reference and value types, and then followed up with an email, thanking them all for their time.

On this email, he CCed the VP of the company.

The VP of the company was also one of the founders, and was a deeply technical person. She never related her reasoning to anyone, but based on Aaron’s email, she scheduled a meeting with him. It was no trick finding out that the meeting was going to take place: Aaron made sure to let everyone on the team know. “I have to block off everything from 3PM on Thursday, because I have a meeting with the VP.” “Can we table that? It’s probably best if we discuss after my meeting with the VP.” “I’ll be back later, it’s time for my meeting with the VP.”

No one knows exactly what happened in that meeting. What was said or done is between Aaron and the VP. But 45 minutes later, both Aaron and the VP walked onto the developers’ floor. Aaron was watching his shoes, and the VP was staring daggers at the back of his neck. She marched Aaron into Regine’s office, and closed the door. For the next twenty minutes, the VP vented her frustration. When her voice got raised, words like “enabling” and “incompetence” and “inappropriate” and “hiring practices” leaked out.

The VP stormed back out, leaving Regine and Aaron to discuss Aaron’s severance. That was the last day anyone saw Aaron.

Well, until Jarad started thinking about attending a local tech conference. Aaron, as it turns out, will be one of the speakers, discussing some “cutting edge” .NET topics.